Brief:
The reader should duplicate only the last part of the notes underneath, starting with the line that has "19.3 deg,".
Given:
=====
The following is a calculated powder diffraction line list of Ca3SmCd8. It was derived from the PBE geometry in Alexandria, using λ = 1.5418 Å (Cu Kα).
Kinematic intensities with the Lorentz-polarization factor, no thermal factor.

Peak list (10 most intense, 2θ = 10–90°, in order of falling intensity)
- 35.4 deg, I 100, (2 0 1)
- 35.0 deg, I 96, (1 1 2)
- 32.9 deg, I 48, (0 1 3)
- 39.1 deg, I 37, (0 2 2)
- 59.8 deg, I 30, (2 0 5)
- 61.1 deg, I 29, (2 2 0)
- 16.9 deg, I 28, (1 0 0)
- 37.6 deg, I 27, (0 0 4)
- 19.3 deg, I 24, (1 0 1)
- 55.9 deg, I 24, (3 0 2)

Structural model:
a = 6.070 Å, b = 6.070 Å, c = 9.563 Å
α = 90.00°, β = 90.00°, γ = 120.00°
Atoms (fractional coordinates):
Ca 0.000 0.000 0.000
Ca 0.000 0.000 0.383
Ca 0.333 0.667 0.877
Sm 0.333 0.667 0.498
Cd 0.009 0.504 0.191
Cd 0.326 0.163 0.689
Cd 0.496 0.504 0.191
Cd 0.496 0.991 0.191
Cd 0.667 0.333 0.441
Cd 0.667 0.333 0.942
Cd 0.837 0.163 0.689
Cd 0.837 0.674 0.689

----------

For BaVCdF7, a crystal structure in Alexandria, relaxed with PBE+U gives the theoretical powder diffractogram in this record (Cu Ka).
Neutral-atom scattering factors, no anomalous dispersion.

Top 12 peaks for 10 to 90 degrees two-theta, by angle:
two_theta  I/Imax
24.9  1000
26.0  251
26.6  247
28.8  427
29.1  301
32.6  203
40.3  166
42.2  139
42.5  365
43.5  186
53.6  168
54.5  134

Cell and atoms:
```
BaVCdF7
1.0
7.0660 -2.7506 0.0000
7.0660 2.7506 0.0000
-0.4049 0.0000 15.4188
Ba V Cd F
4 4 4 28
Cartesian
2.6148 0.2127 1.9557
2.4124 -0.2127 9.6651
11.3148 0.2127 5.7537
11.1124 -0.2127 13.4631
1.3949 0.0671 13.4959
1.5973 -0.0671 5.7865
12.1298 0.0671 9.6323
12.3323 -0.0671 1.9229
6.9648 0.2094 3.8547
7.0660 0.0000 0.0000
6.8636 0.0000 7.7094
6.7624 -0.2094 11.5641
4.6270 1.5397 3.4438
5.5950 1.8625 7.9574
6.8533 2.0723 5.3127
7.0763 2.0723 2.3967
5.0653 1.2792 10.8652
5.0776 1.0840 0.7358
3.4268 0.3650 6.2259
7.9298 1.8625 15.1708
3.2244 -0.3650 13.9353
5.8986 0.6100 13.4533
9.3026 1.5397 4.2656
8.4594 1.2792 12.2630
8.8520 1.0840 6.9736
7.6261 0.6100 9.6749
6.1010 -0.6100 5.7439
4.8752 -1.0840 8.4452
5.2678 -1.2792 3.1558
4.4245 -1.5397 11.1532
7.8285 -0.6100 1.9655
10.5027 0.3650 1.4835
5.7974 -1.8625 0.2480
10.3003 -0.3650 9.1929
8.6495 -1.0840 14.6830
8.6618 -1.2792 4.5536
6.6508 -2.0723 13.0221
6.8739 -2.0723 10.1061
8.1322 -1.8625 7.4614
9.1002 -1.5397 11.9750
```
=====
Outcome:
- 19.3 deg, I 24, (1 0 1)
- 55.9 deg, I 24, (3 0 2)

Structural model:
a = 6.070 Å, b = 6.070 Å, c = 9.563 Å
α = 90.00°, β = 90.00°, γ = 120.00°
Atoms (fractional coordinates):
Ca 0.000 0.000 0.000
Ca 0.000 0.000 0.383
Ca 0.333 0.667 0.877
Sm 0.333 0.667 0.498
Cd 0.009 0.504 0.191
Cd 0.326 0.163 0.689
Cd 0.496 0.504 0.191
Cd 0.496 0.991 0.191
Cd 0.667 0.333 0.441
Cd 0.667 0.333 0.942
Cd 0.837 0.163 0.689
Cd 0.837 0.674 0.689

----------

For BaVCdF7, a crystal structure in Alexandria, relaxed with PBE+U gives the theoretical powder diffractogram in this record (Cu Ka).
Neutral-atom scattering factors, no anomalous dispersion.

Top 12 peaks for 10 to 90 degrees two-theta, by angle:
two_theta  I/Imax
24.9  1000
26.0  251
26.6  247
28.8  427
29.1  301
32.6  203
40.3  166
42.2  139
42.5  365
43.5  186
53.6  168
54.5  134

Cell and atoms:
```
BaVCdF7
1.0
7.0660 -2.7506 0.0000
7.0660 2.7506 0.0000
-0.4049 0.0000 15.4188
Ba V Cd F
4 4 4 28
Cartesian
2.6148 0.2127 1.9557
2.4124 -0.2127 9.6651
11.3148 0.2127 5.7537
11.1124 -0.2127 13.4631
1.3949 0.0671 13.4959
1.5973 -0.0671 5.7865
12.1298 0.0671 9.6323
12.3323 -0.0671 1.9229
6.9648 0.2094 3.8547
7.0660 0.0000 0.0000
6.8636 0.0000 7.7094
6.7624 -0.2094 11.5641
4.6270 1.5397 3.4438
5.5950 1.8625 7.9574
6.8533 2.0723 5.3127
7.0763 2.0723 2.3967
5.0653 1.2792 10.8652
5.0776 1.0840 0.7358
3.4268 0.3650 6.2259
7.9298 1.8625 15.1708
3.2244 -0.3650 13.9353
5.8986 0.6100 13.4533
9.3026 1.5397 4.2656
8.4594 1.2792 12.2630
8.8520 1.0840 6.9736
7.6261 0.6100 9.6749
6.1010 -0.6100 5.7439
4.8752 -1.0840 8.4452
5.2678 -1.2792 3.1558
4.4245 -1.5397 11.1532
7.8285 -0.6100 1.9655
10.5027 0.3650 1.4835
5.7974 -1.8625 0.2480
10.3003 -0.3650 9.1929
8.6495 -1.0840 14.6830
8.6618 -1.2792 4.5536
6.6508 -2.0723 13.0221
6.8739 -2.0723 10.1061
8.1322 -1.8625 7.4614
9.1002 -1.5397 11.9750
```